## Brief
Transcribe the calculation results below from the line with "-1.50359 1.83980" to the end with every line break kept.

## Source
C5H11IN3 | wB97M-V/def2-TZVPD

Positions of all 20 atoms, in Å:
C: 1.50884 -1.73087 1.34662
C: 0.70565 -1.08308 -0.78499
C: -1.76044 0.78306 1.42928
C: -1.16009 2.10755 -0.79712
C: -0.82903 1.57812 0.57231
N: 0.88091 -0.44142 1.28438
N: 0.41703 -0.22444 0.09835
N: 1.63757 -2.09793 -0.15651
I: 0.73102 2.58089 1.61710
H: 2.45333 -1.67009 1.95813
H: 0.87663 -2.46186 1.82115
H: 0.49347 -1.08957 -1.92794
H: -2.48267 0.26219 0.70668
H: -2.52230 1.30977 1.92204
H: -1.26842 0.35368 2.21253
H: -2.01451 1.68245 -1.20976
H: -1.20388 3.30830 -0.81410
H: -0.36177 1.89647 -1.46284
H: 2.57280 -2.28405 -0.75363
H: 1.18536 -3.06413 -0.22827

E: -658.630151 Eh
Spin multiplicity: 1
Charge: +1
Energy relative to the best compared isomer or geometry (same formula, charge and spin): 6.275 eV
LUMO energy: -4.5 eV
HOMO-LUMO gap: 6.90 eV
HOMO level: -0.4174 Ha


C5H4INO2 | wB97M-V/def2-TZVPD

Positions of all 13 atoms, in Å:
C: 1.17896 -0.95496 1.02118
C: 1.25471 -1.28996 -0.49987
C: -0.69736 0.08394 -0.64076
C: 0.96561 0.41069 1.22702
C: -1.91532 0.84007 -0.68542
N: -0.00454 -0.69234 -1.15057
O: 1.13157 -1.93813 1.73094
O: 1.93115 -2.00349 -1.11286
I: 2.00499 1.80186 0.05184
H: 0.49374 0.71511 2.21276
H: -1.50359 1.83980 -0.83433
H: -2.28577 0.70828 0.28931
H: -2.55416 0.47913 -1.60925

E: -695.711233 Eh
Spin multiplicity: 1
Energy relative to the best compared isomer or geometry (same formula, charge and spin): 3.305 eV
LUMO energy (alpha / beta): -1.0 / -1.0 eV
HOMO-LUMO gap (alpha / beta): 7.06 / 7.06 eV
HOMO level (alpha / beta): -0.2946 / -0.2946 Ha


C4H6O2 | wB97M-V/def2-TZVPD

Positions of all 12 atoms, in Å:
O: 2.97439 1.67201 0.26182
C: 2.20888 1.37486 -0.52282
C: 0.28669 -1.46342 -0.55957
C: -0.67750 -1.52386 0.35330
C: -0.99908 1.47294 0.19666
O: -0.17621 2.02949 0.87936
H: 0.08752 -1.60760 -1.61884
H: 1.31931 -1.26332 -0.28596
H: -1.71170 -1.72424 0.08148
H: -0.47162 -1.37317 1.41046
H: -1.94686 1.08544 0.62150
H: -0.86340 1.31630 -0.88960

E: -306.417905 Eh
Spin multiplicity: 1
Energy relative to the best compared isomer or geometry (same formula, charge and spin): 2.405 eV
LUMO energy: 0.9 eV
HOMO-LUMO gap: 11.05 eV
HOMO level: -0.3730 Ha

=====

Density functional theory data (ωB97M-V with the def2-TZVPD basis set) for a cluster of 15 separate species, C46H130N8O22 in total.

- 2S+1: 1
- E_HOMO: -8.283 eV
- Kohn-Sham gap: 8.47 eV

Last column: Löwdin charge in e.
Geometry (Å):
1 C -4.069 -1.536 -2.180  -0.220
2 C -3.520 -2.110 -0.909  -0.256
3 O -3.936 -3.425 -0.664  -0.045
4 O -5.474 -1.237 -2.083  -0.081
5 H -3.951 -2.213 -2.985  0.104
6 H -3.465 -0.624 -2.381  0.122
7 H -3.734 -1.383 -0.113  0.112
8 H -2.366 -2.114 -0.965  0.129
9 H -4.781 -3.435 -0.238  0.069
10 H -5.636 -0.486 -2.668  0.040
11 C -7.161 2.048 -2.523  -0.171
12 C -6.045 2.142 -1.483  -0.266
13 O -6.267 1.202 -0.460  -0.073
14 O -7.023 0.683 -3.080  -0.096
15 H -7.008 2.806 -3.320  0.123
16 H -8.120 2.296 -2.153  0.102
17 H -6.102 3.196 -1.059  0.136
18 H -5.074 2.024 -1.961  0.108
19 H -5.991 0.342 -0.835  0.057
20 H -7.748 0.118 -2.780  0.101
21 C 4.562 -2.187 -3.315  -0.167
22 C 4.056 -3.618 -3.221  -0.237
23 O 2.642 -3.590 -3.252  -0.100
24 O 4.689 -1.495 -2.018  -0.116
25 H 3.869 -1.592 -3.895  0.114
26 H 5.599 -2.196 -3.678  0.122
27 H 4.389 -4.085 -2.306  0.096
28 H 4.419 -4.228 -4.063  0.122
29 H 2.312 -4.497 -3.126  0.048
30 H 3.848 -1.068 -1.842  0.033
31 C -3.690 -4.239 2.292  -0.210
32 C -2.392 -3.470 2.149  -0.187
33 O -1.663 -3.460 3.374  -0.083
34 O -4.787 -3.310 2.273  -0.076
35 H -3.707 -4.916 3.190  0.140
36 H -3.835 -4.899 1.478  0.088
37 H -2.771 -2.416 1.985  0.125
38 H -1.773 -3.749 1.294  0.108
39 H -1.061 -4.199 3.391  0.030
40 H -5.610 -3.789 2.270  0.091
41 C -3.994 0.434 2.798  -0.200
42 C -3.822 1.685 3.770  -0.243
43 O -3.535 1.296 5.069  -0.081
44 O -4.451 -0.651 3.609  -0.074
45 H -3.011 0.123 2.327  0.103
46 H -4.714 0.790 2.034  0.110
47 H -4.728 2.293 3.753  0.110
48 H -3.078 2.422 3.456  0.098
49 H -4.218 0.607 5.265  0.115

## Here it is
H: -1.50359 1.83980 -0.83433
H: -2.28577 0.70828 0.28931
H: -2.55416 0.47913 -1.60925

E: -695.711233 Eh
Spin multiplicity: 1
Energy relative to the best compared isomer or geometry (same formula, charge and spin): 3.305 eV
LUMO energy (alpha / beta): -1.0 / -1.0 eV
HOMO-LUMO gap (alpha / beta): 7.06 / 7.06 eV
HOMO level (alpha / beta): -0.2946 / -0.2946 Ha


C4H6O2 | wB97M-V/def2-TZVPD

Positions of all 12 atoms, in Å:
O: 2.97439 1.67201 0.26182
C: 2.20888 1.37486 -0.52282
C: 0.28669 -1.46342 -0.55957
C: -0.67750 -1.52386 0.35330
C: -0.99908 1.47294 0.19666
O: -0.17621 2.02949 0.87936
H: 0.08752 -1.60760 -1.61884
H: 1.31931 -1.26332 -0.28596
H: -1.71170 -1.72424 0.08148
H: -0.47162 -1.37317 1.41046
H: -1.94686 1.08544 0.62150
H: -0.86340 1.31630 -0.88960

E: -306.417905 Eh
Spin multiplicity: 1
Energy relative to the best compared isomer or geometry (same formula, charge and spin): 2.405 eV
LUMO energy: 0.9 eV
HOMO-LUMO gap: 11.05 eV
HOMO level: -0.3730 Ha

=====

Density functional theory data (ωB97M-V with the def2-TZVPD basis set) for a cluster of 15 separate species, C46H130N8O22 in total.

- 2S+1: 1
- E_HOMO: -8.283 eV
- Kohn-Sham gap: 8.47 eV

Last column: Löwdin charge in e.
Geometry (Å):
1 C -4.069 -1.536 -2.180  -0.220
2 C -3.520 -2.110 -0.909  -0.256
3 O -3.936 -3.425 -0.664  -0.045
4 O -5.474 -1.237 -2.083  -0.081
5 H -3.951 -2.213 -2.985  0.104
6 H -3.465 -0.624 -2.381  0.122
7 H -3.734 -1.383 -0.113  0.112
8 H -2.366 -2.114 -0.965  0.129
9 H -4.781 -3.435 -0.238  0.069
10 H -5.636 -0.486 -2.668  0.040
11 C -7.161 2.048 -2.523  -0.171
12 C -6.045 2.142 -1.483  -0.266
13 O -6.267 1.202 -0.460  -0.073
14 O -7.023 0.683 -3.080  -0.096
15 H -7.008 2.806 -3.320  0.123
16 H -8.120 2.296 -2.153  0.102
17 H -6.102 3.196 -1.059  0.136
18 H -5.074 2.024 -1.961  0.108
19 H -5.991 0.342 -0.835  0.057
20 H -7.748 0.118 -2.780  0.101
21 C 4.562 -2.187 -3.315  -0.167
22 C 4.056 -3.618 -3.221  -0.237
23 O 2.642 -3.590 -3.252  -0.100
24 O 4.689 -1.495 -2.018  -0.116
25 H 3.869 -1.592 -3.895  0.114
26 H 5.599 -2.196 -3.678  0.122
27 H 4.389 -4.085 -2.306  0.096
28 H 4.419 -4.228 -4.063  0.122
29 H 2.312 -4.497 -3.126  0.048
30 H 3.848 -1.068 -1.842  0.033
31 C -3.690 -4.239 2.292  -0.210
32 C -2.392 -3.470 2.149  -0.187
33 O -1.663 -3.460 3.374  -0.083
34 O -4.787 -3.310 2.273  -0.076
35 H -3.707 -4.916 3.190  0.140
36 H -3.835 -4.899 1.478  0.088
37 H -2.771 -2.416 1.985  0.125
38 H -1.773 -3.749 1.294  0.108
39 H -1.061 -4.199 3.391  0.030
40 H -5.610 -3.789 2.270  0.091
41 C -3.994 0.434 2.798  -0.200
42 C -3.822 1.685 3.770  -0.243
43 O -3.535 1.296 5.069  -0.081
44 O -4.451 -0.651 3.609  -0.074
45 H -3.011 0.123 2.327  0.103
46 H -4.714 0.790 2.034  0.110
47 H -4.728 2.293 3.753  0.110
48 H -3.078 2.422 3.456  0.098
49 H -4.218 0.607 5.265  0.115